Havent written in a while and i was wondering why. I recognized that it was because i havent been going out much. I spent about two weeks in my house without doing anything social, a small hibernation you could call it. Especially for me because ive gone out just about every weekend for four months. It was nice to have my feet on solid ground for a while i will admit. I appreciated the time away. But back to the topic. This is going to be personal.
The slowest form of suicide: Love.
I believe Ive mastered the ins and outs of all emotions/feelings except love. I believe this is because all other emotions/feelings are logically based. Meaning in sound mind one can distinguish the reasoning behind someone feeling angry, sad happy etc. But love is different, its more intricate. It can make you laugh and cry, its the only (im just going to call it "thing" because i dont know what to classify it as) thing ive seen change people not simply on the surface but alter their very core and change who they are at the source. Now what scares me about love is that something this powerful isnt controlled by either party. You have no say in who you fall in love with. Love chooses you, and once it has, its power renders you powerless. This is the precipice ive reached. Ive been involved with a girl for a little, nothings on paper. But every time i spend time with her she reveals qualities i wasnt aware were important to me. Qualities that make her very attractive to me. With her theres no doubt of authenticity. She has a sense of innocence, which is amplified by kindness. yet when the time is right she frees herself of her inhibitions. She doesnt do so in the presence of everyone she meets, which reveals to me that she trusts me. Since she's willing to reveal a side of which all arent aware it is effortless for me to reciprocate my true self to her. I trust her entirely i would loan her any of my prized possessions because i believe she'd recognize how important they were and treat them accordingly. My true personality has recently emerged, therfore she sees me for who i am. She has no preconceived notions about me, she's unaware of the mistakes ive made along my evolutionary road. She only sees my present and my future and she accepts both completely. She told me she admires the very traits ive been working to develop, the things that make me unique. No one has ever told me theyve admired me Ive been complimented on my looks, my vocabulary, my fashion sense. Those are important to her, but she recognizes theres more to me than those. She told me she appreciates the way I view the world, my general outlook on life, the way i rationalize certain aspects of life that others fail to. I feel each time im with her no matter the duration of the exchange, the rate she absorbs an additional piece of my personality and tendencies are 100% efficient. No word or statement is deemed insignificant. If i say something in good fun but she doesnt recognize the underlying message, the very next time i say something similar she comprehends it entirely. If we're in the car and a song i begin to sing along with comes on, she gains a better idea of my taste and puts on a song she believes ill enjoy similar to the one that proceeded it. She has yet to be incorrect. We mesh well together. She prefers not to say things blatantly, thus she'll release a seemingly small statement with a larger idea behind it because she recognizes the deapth of my speech analysis and that ill recognize the grand idea behind the smaller statement. Ive never had this kind of experience with a girl. Ive been with girls i wasnt certain i liked and others whom i did yet at a lesser degree than i anticipated. I searched to find ideosyncracies i dislike and focus solely on them. Ive began to stop doing so. Ive reluctantly done it with her, though my search for flaws has been unsuccessful. Im completely satisfied. Shes entirely good, she wouldnt hurt anything or anyone intentionally. The only negative aspect lies within me. Someone who ive rightfully conveyed to be close to perfect for me, deserves the best me everyday, without fail. And im not there yet. Ive improved immensely but im not finished. Im not entirely myself yet, im close, i can feel it more and more each day but im not there yet. I refuse to present her with anything other than my maximum potential. Presenting anything otherwise would be disrespectful. We feel rather strongly for each other, and i dont think its right for me to make her wait for me..to finish becoming me. However, I wonder, what if she's what i need to bring me to that finish line? Ive made this transformation solely thus far. What if a companion is needed to help me finish the journey. Hell i said i trust her and i do. Our experiences are unlike anything ive ever had with anyone. If a companion, a partner, is necessary then shes is that. I dont know if im in love with her, but im certain i love her. Ive shared jokes, secrets, memories, realizations, tears and laughs with her.
So if this is the slowest form of suicide...I'll still die laughing.
Inserted here: data records:
{
  "formula": "Fe3CoNi2P6O24",
  "functional": "GGA+U",
  "state": "optimized geometry",
  "e_form_mev_per_atom": -2146,
  "total_energy_ev_per_atom": -6.7389,
  "cell": [[4.282, 2.472, 6.832], [-4.282, 2.472, 6.832], [0.000, -4.944, 6.832]],
  "species": ["Fe", "Fe", "Fe", "Co", "Ni", "Ni", "P", "P", "P", "P", "P", "P", "O", "O", "O", "O", "O", "O", "O", "O", "O", "O", "O", "O", "O", "O", "O", "O", "O", "O", "O", "O", "O", "O", "O", "O"],
  "frac_coords": [[0.000, 0.000, 0.000], [0.213, 0.213, 0.213], [0.500, 0.500, 0.500], [0.715, 0.715, 0.715], [0.358, 0.358, 0.358], [0.857, 0.857, 0.857], [0.104, 0.808, 0.403], [0.316, 0.608, 0.899], [0.403, 0.104, 0.808], [0.608, 0.899, 0.316], [0.808, 0.403, 0.104], [0.899, 0.316, 0.608], [0.035, 0.851, 0.247], [0.100, 0.304, 0.450], [0.117, 0.766, 0.914], [0.169, 0.966, 0.369], [0.247, 0.035, 0.851], [0.262, 0.610, 0.421], [0.304, 0.450, 0.100], [0.357, 0.537, 0.745], [0.369, 0.169, 0.966], [0.421, 0.262, 0.610], [0.450, 0.100, 0.304], [0.476, 0.677, 0.862], [0.537, 0.745, 0.357], [0.605, 0.939, 0.796], [0.610, 0.421, 0.262], [0.677, 0.862, 0.476], [0.745, 0.357, 0.537], [0.766, 0.914, 0.117], [0.796, 0.605, 0.939], [0.851, 0.247, 0.035], [0.862, 0.476, 0.677], [0.914, 0.117, 0.766], [0.939, 0.796, 0.605], [0.966, 0.369, 0.169]]
}
The text goes on:
It'll find you
I know exactly how you feel bro...dope!